17.1          Introduction

Mechanical spring is an elastic member whose primary function is to deflect under load and to recover its original shape and position when load is released. Springs are used to absorb shocks and vibrations (e.g. vehicle suspension system), store energy (e.g. springs n clocks and toys), measure force (e.g. spring balance) and to apply force and control motion (e.g. cam and follower).

17.2          Types of Springs

Springs are classified based on their shape. Some of the important types of springs are as follows:

17.2.1    Helical Springs

Figure 17.1 Helical Spring

The helical springs are made from a wire coiled in the form of a helix as shown in Figure 1.  Cross-section of the wire is generally circular and it can be square or rectangular also. Helical springs are easy to manufacture, reliable and have a constant spring rate i.e spring deflection is directly proportional to the force acting. These are of two types – compression helical springs and tension helical springs. Compression helical springs are designed to take compressive loads and they get compressed under the loading and the tension helical springs are designed to take tensile loads and they get elongated under the external loads. The load acts along the axes of these springs. In helical sprigs, the wire is subjected to torsional shear stress.

Helical springs are also classified as closely-coiled and open-coiled springs. In closely-coiled springs, wire is coiled so close that the plane containing each turn is nearly at right angles to the axis of the helix i.e. the helix angle is very small, usually less than 10°. In open-coiled helical springs, the wire is so coiled that there is a gap between the two consecutive turns i.e. the helix angle is large.

17.2.2    Conical Springs

Conical spring works in compression and is used where variable spring rate is required. Wire is coiled in the form of a cone as shown in Figure 17.2.


Figure 17.3 Torsion Spring

Figure 17.2 Conical Spring

17.2.3    Torsion Springs

Torsion springs are of two types - helical and spiral. These springs are loaded in torsion and the load tends to wind up the spring. Wire is subjected to bending moment in this case. Torsion springs are shown in Figure17.3.

17.2.4    Leaf or Laminated Springs

Figure 17.5 Belleville Spring

Figure 17.4 Leaf Spring

The laminated or leaf spring consists of a number of flat plates (known as leaves), usually of semi-elliptical shape, of varying lengths held together by means of clamps and bolts. These are mostly used in automobiles. A typical leaf spring is shown in Figure 17.4.

17.2.5    Disc or Belleville Springs

These springs consists of a number of conical discs held together as shown in Figure 17.4. Belleville springs have high spring rate and are compact.

17.3          Spring Materials

Spring materials should have high yield strength and low modulus of elasticity so that they don’t permanently deform under the applied loads. Springs are made of the materials that can be formed (rolled or drawn) to high strength and retain enough ductility to form or the alloys that can be heat treated to high strength and ductility before or after forming. Both hot and cold working processes are used for manufacturing springs. The selection of process depends upon size of material, spring index and the properties desired. Winding of the spring induces residual stresses due to bending, which are released with the help of heat treatment. Materials used for springs are plain carbon steels, alloy steels and also the non-ferrous materials like phosphor bronzes, spring brass, beryllium copper and various nickel alloys.

17.4        Terminology of Helical Springs

Figure 17.6 shows a helical spring subjected to compressive force, W.

Figure 17.6 Compression Helical Spring

Solid Length: Length of the spring when it is compressed so that the coils touch each other.

Solid Length , Ls = n.d

where  n = numbers of coils  and d = wire diameter

Compressed Length: Length of the spring, when it is subjected to maximum compressive force.

Even under the worst load, minimum clearance is maintained between the two adjacent coils so that they don’t clash with each other. It is called clash allowance and is generally taken as 15% of the maximum deflection.

Free Length: Length of the spring in the free or unloaded condition.


Spring Index: Ratio of the mean diameter of the coil  to the diameter of the wire .


Spring Rate/Spring Stiffness/Spring Constant: Force required to produce unit deflection in the spring.                        

Spring Rate , k = W / σ where, and .

Pitch of the Coil: Axial distance between adjacent coils of the spring in uncompressed state.

                 Pitch of the Coil = p = Free Length / (n - 1)      

17.5          Design of Helical Springs

17.5.1    Stress in Helical Springs

Under the compressive load, W acting on the spring, coil of the spring is subjected to two types of stresses – direct shear stress and torsional shear stress due to twisting of the coil.

Torque = T =  W . D / 2


In the analysis above effect of stress concentration is not considered. AM Wahl introduced a factor called Wahl’s Stress Factor, K that takes care of stress concentration also along with the shear stress.

According to Wahl, Maximum shear stress is given by,

Maximum  shear stress  = 174.png

Wahl’s Factor is given by,

**Between two parts of the page: records of crystals:**
~~~
This entry pairs a crystal structure of Tl2HPtC5N5O with its simulated XRD peak list. Radiation: Cu Kα. Structure: the PBE geometry in the Materials Project.

Crystal structure
Cell lengths 6.782, 20.629, 9.211 Å; angles 90.00, 115.87, 90.00 degrees
Atoms (fractional coordinates):
1 Tl 0.140 0.082 0.209
2 Tl 0.140 0.418 0.709
3 Tl 0.235 0.718 0.176
4 Tl 0.235 0.782 0.676
5 Tl 0.765 0.218 0.324
6 Tl 0.765 0.282 0.824
7 Tl 0.860 0.582 0.291
8 Tl 0.860 0.918 0.791
9 H 0.087 0.584 0.053
10 H 0.087 0.916 0.553
11 H 0.913 0.084 0.447
12 H 0.913 0.416 0.947
13 Pt 0.271 0.119 0.692
14 Pt 0.271 0.381 0.192
15 Pt 0.729 0.619 0.808
16 Pt 0.729 0.881 0.308
17 C 0.068 0.086 0.783
18 C 0.068 0.414 0.283
19 C 0.179 0.212 0.703
20 C 0.179 0.288 0.203
21 C 0.346 0.027 0.667
22 C 0.346 0.473 0.167
23 C 0.468 0.151 0.595
24 C 0.468 0.349 0.095
25 C 0.487 0.626 0.586
26 C 0.487 0.874 0.086
27 C 0.513 0.126 0.914
28 C 0.513 0.374 0.414
29 C 0.532 0.651 0.905
30 C 0.532 0.849 0.405
31 C 0.654 0.527 0.833
32 C 0.654 0.973 0.333
33 C 0.821 0.712 0.797
34 C 0.821 0.788 0.297
35 C 0.932 0.586 0.717
36 C 0.932 0.914 0.217
37 N 0.040 0.563 0.660
38 N 0.040 0.937 0.160
39 N 0.120 0.234 0.202
40 N 0.120 0.266 0.702
41 N 0.347 0.633 0.455
42 N 0.347 0.867 0.955
43 N 0.376 0.527 0.147
44 N 0.376 0.973 0.647
45 N 0.432 0.671 0.972
46 N 0.432 0.829 0.472
47 N 0.568 0.171 0.528
48 N 0.568 0.329 0.028
49 N 0.624 0.027 0.353
50 N 0.624 0.473 0.853
51 N 0.653 0.133 0.045
52 N 0.653 0.367 0.545
53 N 0.880 0.734 0.298
54 N 0.880 0.766 0.798
55 N 0.960 0.063 0.840
56 N 0.960 0.437 0.340
57 O 0.026 0.116 0.455
58 O 0.026 0.384 0.955
59 O 0.974 0.616 0.045
60 O 0.974 0.884 0.545

Largest 10 diffraction maxima, low angle first, 15° ≤ 2θ ≤ 90°:
18.89°, intensity 26.6; 19.45°, intensity 100.0; 21.44°, intensity 38.4; 23.83°, intensity 43.0; 25.11°, intensity 33.7; 27.73°, intensity 17.6; 28.10°, intensity 26.1; 30.93°, intensity 22.6; 39.35°, intensity 18.6; 45.77°, intensity 18.2

=====

# YMn2ZnTe
Simulated X-ray diffraction stick pattern, CuKα. Input: the PBE geometry in Alexandria.
Neutral-atom scattering factors, no anomalous dispersion.

Structural model:
```
data_YMn2ZnTe
_cell_length_a 4.6838
_cell_length_b 4.6838
_cell_length_c 5.4107
_cell_angle_alpha 90.00
_cell_angle_beta 90.00
_cell_angle_gamma 90.00
_symmetry_space_group_name_H-M 'P 1'
_symmetry_Int_Tables_number 1
_symmetry_space_group_name_Hall 'P 1'
loop_
_atom_site_label
_atom_site_fract_x
_atom_site_fract_y
_atom_site_fract_z
_atom_site_occupancy
Y1 0.0000 0.0000 0.0000 1
Mn1 0.0000 0.5000 0.5000 1
Mn2 0.5000 0.0000 0.5000 1
Zn1 0.5000 0.5000 0.5000 1
Te1 0.5000 0.5000 0.0000 1
```

Peak list (10 most intense, 2θ from 10° to 90°, in order of falling intensity)
2θ/deg  intensity
31.7  100
38.4  81
51.6  59
33.1  54
26.9  35
55.5  30
18.9  29
43.2  27
66.2  27
82.3  23

# MnZnTe2
Simulated X-ray diffraction stick pattern, CuKα. Input: the PBE geometry in Alexandria.
Neutral-atom scattering factors, no anomalous dispersion.
~~~

Wahl’s Factor , 175.png


17.5.2    Deflection in Helical Springs


If J is polar moment of inertia and G is Modulus of Rigidity of coil, angular deflection of the wire due to twisting is given by,




  1. Design of Machine Elements by VB Bhandari

  2. Mechanical Engineering Design by J.E. Shigley

  3. Analysis and Design of Machine Elements by V.K. Jadon

  4. Machine Design by R.S. Khurmi

  5. 5.      Design of Machine Elements by C.S. Sharma & K. Purohit










Last modified: Thursday, 20 March 2014, 10:11 AM